-- Data --
********
Entry 1:
DFT (PBE) results for a geometry-optimized Th2SnOsPb structure. Values from VASP.

Computed properties:
The total energy comes out at -7.102 eV per atom. The calculation puts the formation energy at -346 meV/atom. As for the space group: P2_1/m.

The structure in Quantum ESPRESSO input format:
```
&SYSTEM
  ibrav = 0, nat = 10, ntyp = 4
/
ATOMIC_SPECIES
Th 232.04 Th.upf
Os 190.23 Os.upf
Sn 118.71 Sn.upf
Pb 207.20 Pb.upf
ATOMIC_POSITIONS angstrom
Th -1.5960 2.6913 7.3633
Th -5.7676 -1.2349 1.8790
Th -6.3933 -3.9604 -2.9662
Th -2.2217 -0.0342 2.5180
Os -4.2796 -1.9723 4.1762
Os -3.7097 0.7032 0.2209
Sn -3.1498 0.0619 5.6952
Sn -4.8395 -1.3309 -1.2982
Pb -4.7640 -4.1718 0.2011
Pb -3.2253 2.9027 4.1959
CELL_PARAMETERS angstrom
-3.2413 2.5652 -1.0244
-4.5900 -7.0369 -3.0980
-0.1579 3.2026 8.5194
```

=====

Entry 2:
DFT (PBE) results for a geometry-optimized LaGdAg structure. Values from VASP.

Computed properties:
The total energy comes out at -7.459 eV per atom. The calculation puts the formation energy at -172 meV/atom. As for the space group: I4mm.

The structure in Quantum ESPRESSO input format:
```
&SYSTEM
  ibrav = 0, nat = 3, ntyp = 3
/
ATOMIC_SPECIES
Gd 157.25 Gd.upf
Ag 107.87 Ag.upf
La 138.91 La.upf
ATOMIC_POSITIONS angstrom
Gd 0.0000 0.0000 0.2784
Ag 1.8669 1.8669 2.0050
La 0.0000 0.0000 4.0445
CELL_PARAMETERS angstrom
3.7338 0.0000 0.0000
0.0000 3.7338 0.0000
-1.8669 -1.8669 6.3279
```

=====

Entry 3:
DFT (PBE) results for a geometry-optimized LiZn5 structure. Values from VASP.

Computed properties:
The total energy comes out at -1.489 eV per atom. The calculation puts the formation energy at -108 meV/atom. As for the space group: P-62m.

The structure in Quantum ESPRESSO input format:
```
&SYSTEM
  ibrav = 0, nat = 6, ntyp = 2
/
ATOMIC_SPECIES
Zn 65.41 Zn.upf
Li 6.94 Li.upf
ATOMIC_POSITIONS angstrom
Zn -0.0047 2.7729 0.0000
Zn -0.7981 1.3824 2.1951
Zn 2.3898 1.3744 0.0000
Zn 0.0093 0.0000 0.0000
Zn 1.5963 2.7649 2.1951
Li 1.5963 0.0000 2.1951
CELL_PARAMETERS angstrom
4.7889 0.0000 0.0000
-2.3944 4.1473 0.0000
0.0000 0.0000 4.3903
```


Material: TbMgTlS3
Method: DFT, PBE
State: relaxed

Values from the calculation:
Energy = -4.877 eV/atom
Total moment = 0.00 μB per atom

Cell: 10.8843 4.0833 14.1420 Å, 90.00 90.00 90.00°
Fractional positions:
Tb (0.0130, 0.2500, 0.2389)
Tb (0.4870, 0.7500, 0.7389)
Tb (0.5130, 0.2500, 0.2611)
Tb (0.9870, 0.7500, 0.7611)
Mg (0.2364, 0.2500, 0.7101)
Mg (0.2636, 0.7500, 0.2101)
Mg (0.7364, 0.2500, 0.7899)
Mg (0.7636, 0.7500, 0.2899)
Tl (0.2148, 0.7500, 0.4926)
Tl (0.2852, 0.2500, 0.9926)
Tl (0.7148, 0.7500, 0.0074)
Tl (0.7852, 0.2500, 0.5074)
S (0.0398, 0.2500, 0.6325)
S (0.0775, 0.7500, 0.1199)
S (0.2396, 0.7500, 0.8083)
S (0.2604, 0.2500, 0.3083)
S (0.4225, 0.2500, 0.6199)
S (0.4602, 0.7500, 0.1325)
S (0.5398, 0.2500, 0.8675)
S (0.5775, 0.7500, 0.3801)
S (0.7396, 0.7500, 0.6917)
S (0.7604, 0.2500, 0.1917)
S (0.9225, 0.2500, 0.8801)
S (0.9602, 0.7500, 0.3675)
********

-- Work order --
Echo every line earlier on that contains the word "in".

-- Completed --
The structure in Quantum ESPRESSO input format:
The structure in Quantum ESPRESSO input format:
The structure in Quantum ESPRESSO input format: